The Android troubleshooting guide covers issues and questions related to the following topics.
- App is currently running within a test environment
- Request failed
- Registration and access
- Gateway validity
- Direct merchants
- CardInfo
App is currently running within a test environment
The user might see the following message when they choose a payment card from the payment details dialog:
App is currently running within a test environment. Transactions will not result in an actual charge
This error indicates that the app uses
and doesn't receive real payment credentials, but receives personal information that includes
billing address, billing address phone number, shipping address, and email address if requested.
Request failed
The most common error message is OR_BIBED_06
. This error message also
appears in the UI as a dialog with the following text:
Request Failed
There is an issue with merchant's Google Pay integration. Please contact merchant for help or pay with a different method.
To learn more about this error, follow these steps:
- Make sure Android Debug Bridge (adb) is installed on your computer.
- Make sure USB debugging is enabled on your device. For more information, see Debug Your App.
- Connect your Android device to the computer or start your simulator.
Run the following command in a terminal or command prompt on your computer:
adb logcat -s WalletMerchantError
The response indicates the reason for the error. For example, you might see:
02-26 17:41:28.133 14593 14593 W WalletMerchantError: Error in loadPaymentData: This merchant profile does not have access to this feature.
The action you need to take to resolve the issue depends on the error message.
Gateway validity
You might encounter the following errors related to gateway validity at some point in your integration. The following list provides some helpful troubleshooting advice should these errors arise.
Unknown gateway 'yourgateway'- The
property value you specified intokenizationSpecification
isn't currently supported by the Google Pay API. Contact your gateway for more information on their gateway identifier and associated fields, such asgatewayMerchantId
Gateway 'example' cannot be used in production mode.- The example gateway property value is only used for testing purposes and can't be used with
environment parameter value set toWalletConstants.ENVIRONMENT_PRODUCTION
**Records of molecules that have nothing to do with the page:**
____________
Record 1
Entry from OMol25: a single C17H29NO2 molecule (ωB97M-V/def2-TZVPD).

The LUMO energy is 0.8207 eV. The calculation puts the energy above the lowest of the compared OMol25 structures with the same formula, charge and spin at 0.824 eV. The calculated total energy comes out at -870.3919 Ha. Its SMILES is CC(C)(C)c1ccccc1OCCCCCNCCO. The HOMO energy comes out at -0.310 hartree.

CARTESIAN COORDINATES (ANGSTROEM)
C -1.8668 -3.1883 -0.1386
C -1.4672 -1.7093 -0.0935
C -0.6465 -1.4904 1.1851
C -0.6100 -1.4295 -1.3357
C -2.6703 -0.7735 -0.0652
C -3.9670 -1.2641 -0.0305
C -5.0762 -0.4357 0.0262
C -4.9022 0.9307 0.0608
C -3.6229 1.4564 0.0249
C -2.5092 0.6279 -0.0471
O -1.2362 1.1262 -0.0987
C -1.0338 2.5166 -0.2298
C 0.4433 2.7550 -0.5357
C 1.3456 2.3305 0.6207
C 2.8327 2.4772 0.2916
C 3.3790 1.4297 -0.6993
N 3.9178 0.2150 -0.1221
C 2.9721 -0.6775 0.5261
C 3.6184 -2.0621 0.6219
O 3.9827 -2.5350 -0.6478
H -2.4365 -3.4735 0.7429
H -2.4473 -3.4138 -1.0302
H -0.9652 -3.7971 -0.1640
H 0.2249 -2.1417 1.1879
H -1.2523 -1.7178 2.0603
H -0.3133 -0.4609 1.2571
H -1.2021 -1.5748 -2.2372
H 0.2362 -2.1132 -1.3655
H -0.2366 -0.4115 -1.3286
H -4.1364 -2.3274 -0.0488
H -6.0669 -0.8641 0.0486
H -5.7511 1.5959 0.1161
H -3.5028 2.5276 0.0615
H -1.3148 3.0323 0.7000
H -1.6436 2.9142 -1.0526
H 0.5852 3.8165 -0.7478
H 0.6986 2.1935 -1.4355
H 1.1138 2.9512 1.4904
H 1.1196 1.2977 0.8805
H 2.9980 3.4747 -0.1222
H 3.4125 2.4100 1.2164
H 4.1934 1.8797 -1.2754
H 2.5980 1.1342 -1.4034
H 4.6778 0.4370 0.5144
H 2.0884 -0.7452 -0.1118
H 2.6626 -0.3524 1.5310
H 2.9187 -2.7861 1.0458
H 4.5035 -2.0091 1.2762
H 4.3547 -1.7760 -1.1193

Record 2
Entry from OMol25: a single C17H29NO2 molecule (ωB97M-V/def2-TZVPD).

The LUMO energy is 0.8612 eV. The calculation puts the energy above the lowest of the compared OMol25 structures with the same formula, charge and spin at 0.204 eV. The calculated total energy comes out at -870.4147 Ha. Its SMILES is CC1=C[C@H](C)[C@@H](COC(=O)CN2CCCCC2)[C@H](C)C1. The HOMO energy comes out at -0.323 hartree.

CARTESIAN COORDINATES (ANGSTROEM)
C -4.6137 -2.5650 0.4903
C -3.7379 -1.3552 0.3701
C -3.9874 -0.2254 1.0149
C -3.1482 1.0170 0.9628
C -4.0097 2.2262 0.5789
C -1.9119 0.8764 0.0539
C -0.6905 0.5213 0.9144
O 0.4950 0.3650 0.1361
C 1.1357 1.4729 -0.2186
O 0.7806 2.5882 0.0649
C 2.3738 1.1526 -1.0409
N 3.2048 0.1752 -0.3705
C 4.2655 -0.3215 -1.2274
C 4.9953 -1.4702 -0.5383
C 5.5795 -0.9985 0.7883
C 4.4591 -0.4104 1.6380
C 3.7514 0.6994 0.8690
C -2.0876 -0.1475 -1.0787
C -3.0650 0.3406 -2.1460
C -2.5439 -1.4995 -0.5283
H -4.0254 -3.4253 0.8085
H -5.4131 -2.4022 1.2086
H -5.0574 -2.8075 -0.4755
H -4.8590 -0.1508 1.6525
H -2.7914 1.2054 1.9855
H -4.8417 2.3274 1.2727
H -4.4122 2.1192 -0.4238
H -3.4174 3.1373 0.6192
H -1.7006 1.8500 -0.4009
H -0.5236 1.3145 1.6514
H -0.8311 -0.4320 1.4256
H 2.8990 2.1031 -1.2457
H 2.0362 0.7275 -1.9910
H 3.8163 -0.6768 -2.1586
H 4.9882 0.4776 -1.4785
H 4.2827 -2.2752 -0.3538
H 5.7823 -1.8471 -1.1938
H 6.0575 -1.8294 1.3101
____________
. Contact your gateway for more information about thegateway
parameters you need to use with the Google Pay API.
Registration and access
You might encounter the following errors related to registration and access at some point in your integration. The following list provides some helpful troubleshooting advice should these errors arise.
This API requires Google Play Services library version 8.4+- Make sure Google Play services is up-to-date on the device that runs the app.
No keys found for this merchant profile- You must register your public encryption key with Google via the
Google Pay & Wallet Console to complete a
integration. OR_BIBED_07
What comes next are molecular data, not part of the entry
No. 1
ORCA calculation (wB97M-V/def2-TZVPD) on a single C23H32N2O4S molecule at a distorted geometry.

Structure (XYZ):
```
62
C23H32N2O4S | OMol25 | wB97M-V/def2-TZVPD
H 1.604 0.661 4.820
C -0.444 0.020 4.619
H 0.850 2.865 3.696
H -0.414 3.843 4.490
C 1.865 -0.396 -2.749
H 2.901 1.844 -0.520
H 0.363 -1.142 1.768
O -3.583 -0.335 -0.169
C 0.297 2.153 5.662
C 3.347 1.641 -7.827
C -1.018 0.687 0.204
C -0.158 -2.044 -0.096
C 2.703 0.508 -2.155
C -1.911 0.223 2.543
C -0.539 -1.515 1.284
C -2.887 -0.904 0.630
H 0.248 -1.751 -2.862
O 3.282 1.241 -3.142
H 1.115 2.691 6.142
H -0.171 -1.003 4.359
H -0.127 0.831 -1.750
C -4.473 -2.639 0.820
H 4.069 0.523 -0.527
C 0.679 0.697 5.403
C 4.212 2.583 -7.362
H 0.587 -2.837 0.012
C -0.574 0.063 -1.115
H -5.276 -3.915 -0.708
C 3.032 0.785 -0.737
H -1.048 -2.475 -0.590
H 2.369 0.193 -0.114
C -1.556 -0.376 1.166
C -0.738 0.813 3.340
H -2.626 1.035 2.394
C 2.749 0.896 -6.795
O -3.228 -2.058 1.213
C 2.774 0.748 -4.292
C 3.172 1.287 -5.552
H -1.349 -0.004 5.231
H -5.213 -1.842 0.697
H -4.757 -3.288 1.651
C -4.333 -3.430 -0.472
C 1.007 -1.443 -2.123
H -2.398 -0.550 3.139
N 0.421 -0.971 -0.881
H -0.170 1.196 0.659
H 0.854 0.175 6.345
H 3.145 1.485 -8.872
H 4.798 3.282 -7.924
H 0.182 0.832 2.732
H -3.560 -4.188 -0.369
H -0.576 2.190 6.315
H 2.037 0.105 -6.936
H -0.951 -2.323 1.889
C -0.049 2.825 4.333
H -1.798 1.422 0.005
O -1.083 2.152 3.655
N 1.925 -0.225 -4.102
H -1.452 -0.345 -1.644
S 4.318 2.585 -5.648
H 1.627 -2.317 -1.895
H -4.069 -2.762 -1.289
```

Gap between HOMO and LUMO ... 8.39 eV
Energy above the lowest of the compared OMol25 structures with the same formula, charge and spin ... 2.008 eV
LUMO level ... 0.5999 eV
HOMO energy ... -7.8 eV
SMILES ... CCOC(=O)C1(C[C@@H]2CCCCO2)CCN(Cc2nc(-c3cccs3)oc2C)CC1

=====

No. 2
ORCA calculation (wB97M-V/def2-TZVPD) on a single C23H32N2O6 molecule at a distorted geometry.

Structure (XYZ):
```
63
C23H32N2O6 | OMol25 | wB97M-V/def2-TZVPD
H 5.592 -3.177 -0.594
C 1.545 2.819 0.184
C 0.139 3.090 0.711
C -6.221 -1.748 -0.591
O -4.853 -1.989 -0.347
C 1.559 -1.663 -0.169
C 4.551 -0.025 -0.698
C 3.565 -2.656 -1.102
O 3.709 3.832 -0.302
C -0.777 1.859 0.769
H 6.785 -0.737 0.690
H 4.120 3.178 0.275
C 4.892 -2.361 -0.404
H -0.840 1.983 -1.378
H 3.091 -3.541 -0.676
O -6.403 -0.401 -0.972
H 0.213 3.512 1.717
H -0.173 -0.406 -1.842
H 2.436 4.530 1.170
O 1.203 -2.724 0.310
C -2.484 0.805 -0.750
C -1.031 1.218 -0.616
H -6.801 -1.953 0.324
H -1.131 -0.124 4.092
H -3.099 2.761 -1.344
H -1.742 2.193 1.165
H -2.244 -1.278 3.307
H 4.356 0.122 0.382
C -3.423 1.754 -1.126
H 4.720 -2.294 0.686
C -5.153 0.164 -0.948
N 2.664 -1.536 -0.930
H -2.166 -1.252 -0.162
H 3.740 -2.805 -2.172
O -1.343 -0.043 2.044
H -6.575 -2.410 -1.398
C -1.260 -0.807 3.237
C -4.778 1.454 -1.233
H 7.431 -1.707 -0.653
H 0.084 1.290 2.692
N 5.459 -1.131 -0.931
O 0.856 0.092 1.302
C -0.166 -1.868 3.245
C -2.878 -0.505 -0.466
H 1.492 2.425 -0.832
H 1.986 4.820 -0.524
H -0.339 3.841 0.077
H -0.202 -2.458 2.333
This merchant profile doesn't have access to this feature.- You haven't completed the process to register your app for the Google Pay API. Review Request production access for more information.
This merchant is in a region where Google pay is not accepted.- The Google Pay service is not available in the region. See the list of supported countries for more information
This merchant has not completed registration to use Google Pay API. Please go to console ( to verify.- You haven't completed the process to register your app for the Google Pay API. Review Request production access for more information.
This Google Pay API integration is disabled. Please contact us for more information ( Contact us to learn more about the required steps to re-enable the Google Pay API for your account.
Signing key fingerprints {11:22:33:44:55:66:77:88:99:AA:BB:CC:DD:EE:FF:11:22:33:44:55} don't match our records for this app.- The Google Pay API can only be used in production mode if the APK is signed with the correct signing key. For more information, see Sign Your App.
The Android manifest needs to be updated to use Google Pay API ( To enable the Google Pay API, you must modify your
. For more information, see Modify your manifest.
Direct merchants
You might encounter the following errors related to direct merchant at some point in your integration. The following list provides some helpful troubleshooting advice should these errors arise.
- Signature verification
- You might encounter a signature verification error if the
is wrong. This can happen in theTEST
environment when you use the Tink paymentmethodtoken library. To avoid this issue, set YOUR_MERCHANT_ID toin:
YOUR_MERCHANT_ID ")- Cannot decrypt token
- If you use the Tink paymentmethodtoken library to decrypt a token, take note of the following:
- Ensure that the Google Pay API response environment corresponds with the Tink environment. For
example, if the Google Pay API response was returned by
, then Tink points to the test environment for decryption. - Don't modify the response from Google Pay API before it's passed to Tink. Ensure that you pass the entire token returned from the Google Pay API response. For more details, see the following note:
- Verify that you have the proper private key associated with the public key that you registered with Google.
- Generate public and private key pair on Windows
- If you're on Windows, and you want to follow the steps mentioned in Use OpenSSL to generate a private and public key pair, make sure you install Cygwin on your machine. This is needed to run the Linux commands.
- What is the CardInfo feature?
- Google Pay indicates to consumers that there’s a card behind the Google Pay payment button, which renders both the card brand network and the last four digits of the card.
- Why doesn't the CardInfo feature render in my implementation?
To make the CardInfo feature work, we require the following conditions:
- You must implement the
API. - You must configure the
. - The user must have an available payment method, as defined by your
- You must implement the